Channeled Reading

Discover deeper insights into your soul’s journey and purpose through a Channeled Reading with Ra-Ja, a compassionate spirit guide from the angelic realm. This session offers guidance to align with your higher purpose, uncover spiritual gifts, and embrace your true path.

Molecular data that have nothing to do with the text.
The following is a DFT calculation (ωB97M-V/def2-TZVPD) of an isolated ion of composition C5H14N and charge +2 at a distorted geometry.

Last column: natural (NBO) charge in e.
Positions of all 20 atoms, in Å:
C1 -1.437967 1.614715 -0.759473  -0.624
C2 -0.205207 0.783622 -0.386477  -0.034
C3 -0.654481 -0.681179 -0.358122  -0.318
C4 0.298980 -1.630443 0.557639  -0.297
C5 1.662254 -1.612098 -0.098614  -0.617
N1 0.316417 1.378290 0.961163  -0.686
H1 -1.326637 2.055568 -1.752517  0.305
H2 -2.307547 0.922267 -0.778295  0.270
H3 -1.709878 2.349215 -0.003838  0.265
H4 0.644372 0.912038 -1.062838  0.259
H5 -0.760298 -0.994654 -1.412787  0.303
H6 -1.727359 -0.799162 -0.103435  0.312
H7 -0.267436 -2.574021 0.444498  0.339
H8 0.109015 -1.408156 1.614140  0.255
H9 2.343930 -2.244650 0.513970  0.371
H10 2.122702 -0.620994 -0.009040  0.243
H11 1.607077 -2.050314 -1.084362  0.278
H12 1.040431 0.810036 1.394935  0.447
H13 0.715380 2.284500 0.707709  0.470
H14 -0.463748 1.505419 1.615744  0.459

Atomic forces in eV per Å
-0.594 -1.135 -0.318
1.052 0.957 0.722
-1.523 0.549 -1.745
0.249 -0.915 0.732
-1.198 0.546 0.901
-0.586 -0.796 -0.977
-0.057 -0.054 0.073
0.027 0.559 -0.328
0.186 0.164 0.030
-0.236 -0.034 0.036
0.667 0.150 0.170
0.449 -0.535 1.112
-0.246 0.084 -0.488
0.848 0.261 -0.096
-0.150 -0.189 0.328
0.420 -0.266 -0.455
0.233 0.288 -0.362
0.193 0.033 0.217
0.028 0.218 0.356
0.238 0.116 0.091

Calculated values
maximum force: 2.38 eV/A
LUMO energy (spin up / spin down): -0.2754 / -0.5401 Ha
net charge: +2
spin multiplicity: 2
relative energy (zero: lowest compared OMol25 entry of this formula, charge and spin): 164.7 kJ/mol

The following is a DFT calculation (ωB97M-V/def2-TZVPD) of an isolated ion of composition C5H14N2 and charge -1 at a distorted geometry.

Last column: natural (NBO) charge in e.
Positions of all 21 atoms, in Å:
N1 0.634753 0.845875 -1.718275  -1.034
C1 0.416420 -0.036787 -0.533428  -0.242
C2 -1.036289 -0.410634 0.071013  -0.505
C3 -1.702299 0.742855 0.791277  -0.577
C4 -1.016414 1.036430 2.132186  -0.695
C5 1.166101 -1.470644 -0.689657  -0.238
N2 2.448065 -1.426680 -1.504412  -0.864
H1 0.623618 1.834744 -1.400298  0.299
H2 -0.136226 0.592579 -2.376478  0.330
H3 1.140400 0.235107 0.332805  0.173
H4 -1.169441 -1.446392 0.484949  0.200
H5 -1.721729 -0.501781 -0.733207  0.201
H6 -1.628111 1.604083 0.304040  0.189
H7 -2.761485 0.572581 1.176422  0.178
H8 -0.864451 0.239026 2.852484  0.184
H9 -1.616112 1.762064 2.675207  0.185
H10 -0.009679 1.556828 1.992692  0.187
H11 0.362941 -2.090074 -1.159483  0.156
H12 1.426738 -1.831412 0.251530  0.167
H13 3.188649 -1.190228 -0.884971  0.332
H14 2.254551 -0.617538 -2.064395  0.374

Atomic forces in eV per Å
-1.187 -1.424 1.230
2.407 -2.221 2.421
0.291 0.876 -1.285
-0.225 -4.023 5.313
1.493 1.632 0.265
-1.035 1.243 -3.288
-2.471 -0.721 0.407
-0.437 -0.409 -0.508
0.652 1.005 0.445
-1.721 0.985 -1.272
0.854 1.080 0.476
-0.301 -0.345 -1.804
-0.055 3.452 -2.747
0.869 -0.158 -1.408
-0.048 -0.615 -0.303

  • ✅ Understand the steps needed to align with your higher purpose
  • ✅ Uncover the spiritual gifts you are meant to share with the world
  • ✅ Step confidently into your true path and reach your highest potential
  • ✅ Align with your soul’s purpose and the wisdom of the angelic realm


✅ Helps you understand your current challenges and find the best solution

✅ Focuses on your life here and now

✅ Provides direction on what to do next to improve your life on earth

# Inserted here: molecular data
____________
## i
ORCA calculation (wB97M-V/def2-TZVPD) on a gas-phase ion, C4H12N2S (charge +1).

```
! RIJCOSX wB97M-V def2-TZVPD def2/J DEFGRID3
* xyz 1 2
S -0.970 -0.153 2.534
N 0.394 -0.750 -0.876
N 0.658 2.069 -1.704
C 0.907 -1.161 0.421
C 0.001 -1.566 1.744
C -0.285 1.647 -0.657
C -0.746 0.240 -1.001
H 0.165 1.745 0.395
H 1.559 -0.384 0.743
H -1.195 2.357 -0.618
H 0.058 0.365 3.260
H -0.892 -2.298 1.450
H 1.281 -2.232 0.311
H -1.676 -0.083 -0.473
H -1.169 0.229 -2.077
H 0.962 1.056 -1.990
H 0.170 2.460 -2.601
H 0.722 -1.982 2.508
H 0.056 -1.557 -1.367
*
```

Summary:
Kohn-Sham gap (alpha / beta) (eV): 10.594 / 4.587
Highest occupied orbital energy (alpha / beta) (eV): -13.70 / -13.06

***

## ii
ORCA calculation (wB97M-V/def2-TZVPD) on a gas-phase ion, C4H12N2S (charge +1).

```
! RIJCOSX wB97M-V def2-TZVPD def2/J DEFGRID3
* xyz 1 2
S -2.174 -2.166 1.621
N 0.526 -0.885 1.048
N 0.751 1.683 -0.600
C 2.015 1.197 -1.132
C -0.370 0.771 -0.714
C -1.838 -1.008 0.296
C -0.625 -0.126 0.540
H 1.383 -0.800 0.511
H 0.851 1.884 0.352
H -0.884 0.582 1.325
H -2.773 -0.502 0.199
H 2.848 1.687 -0.636
H -1.291 1.354 -0.778
H -1.654 -1.561 -0.584
H -1.048 -1.973 2.341
H 2.161 0.125 -1.037
H 2.090 1.466 -2.172
H 0.351 -1.891 0.990
H -0.318 0.163 -1.571
*
```

Summary:
Kohn-Sham gap (alpha / beta) (eV): 8.661 / 3.183
Highest occupied orbital energy (alpha / beta) (eV): -12.41 / -12.36

***

ii wins, 0.534 eV ahead of the next structure.

***

## i
ORCA calculation (wB97M-V/def2-TZVPD) on a single C8H6N2O2 molecule.

```
! RIJCOSX wB97M-V def2-TZVPD def2/J DEFGRID3
* xyz 0 1
O 0.944 -2.548 0.787
O -1.558 -1.488 1.138
N -1.366 -1.129 -2.281
N -2.766 2.007 0.536
C 1.710 0.726 -0.585
C 0.415 1.460 -0.352
C 1.894 -0.538 -0.205
C 0.902 -1.452 0.347
C -1.182 -0.881 -1.180
C -1.857 1.339 0.709
C -0.546 0.686 0.596
C -0.832 -0.806 0.226
H 0.749 2.417 0.305
H 2.795 -0.907 -0.475
H -0.176 1.663 -1.197
H -1.449 -2.437 1.017
H -0.266 0.777 1.682
H 2.588 1.111 -1.065
*
```

Summary:
Kohn-Sham gap (eV): 9.143
Highest occupied orbital energy (eV): -9.76
SMILES string: N#C[C@@H]1CC=CC(=O)[C@]1(O)C#N

***

## ii
ORCA calculation (wB97M-V/def2-TZVPD) on 2 unconnected molecules or ions with the total composition C8H6N2O2.

```
! RIJCOSX wB97M-V def2-TZVPD def2/J DEFGRID3
* xyz 0 1
O -3.601 1.832 1.553
O -3.225 -1.992 -0.383
N -4.378 0.980 1.541
N -5.207 0.246 1.594
C -0.129 -1.627 -2.340
C -0.010 -0.791 -1.260
C -0.682 -0.101 0.961
C -1.056 -0.799 -0.287
C 0.995 0.136 -1.115
C 1.206 0.906 -0.025
C -2.205 -1.481 -0.304
C 0.371 0.669 1.108
H 2.190 1.448 0.057
H -1.022 -2.248 -2.417
H 1.689 0.034 -1.965
H 0.572 1.106 2.115
H 0.597 -1.797 -3.156
H -1.157 -0.273 1.904
*
```

Summary:
Kohn-Sham gap (alpha / beta) (eV): 7.221 / 7.217
Highest occupied orbital energy (alpha / beta) (eV): -7.26 / -7.26
SMILES string: C=c1ccccc1=C=O.N#[N+][O-]

***

## iii
ORCA calculation (wB97M-V/def2-TZVPD) on a single C8H6N2O2 molecule.

```
! RIJCOSX wB97M-V def2-TZVPD def2/J DEFGRID3
* xyz 0 1
____________


✅ Helps you understand your higher purpose, spiritual gifts, and why you are here

✅ Focuses on your soul’s journey through many lifetimes

✅ Provides guidance that supports your soul’s growth and spiritual evolution

How to schedule your session

📅 Click on the ‘BOOK YOUR SESSION’ button below. Select ‘Channeled Reading’ from the list and click the ‘BOOK NOW’ button and complete the payment process. The system will take you to my calendar, where you can schedule your appointment day and time. If you do not see a time slot that works for you, please email me with your availability.

You can pay with any credit card or PayPal.

60 minutes – $195

Ra-ja is a collection of energies from a high vibrational real, an unseen friend, with whom I have a special bond and connection. This relationship allows Ra-ja to speak and write through me. Ra-ja also assists me during energy readings, healings and when I teach class.

Watch this video to hear Ra-Ja’s explanation of what she is.

Ra-Ja guides you through a relaxing meditation

In this video I explain what vocal channeling is and introduce Ra-ja, my guide

Watch this YouTube playlist to hear Ra-Ja’s messages, gain profound insights, and start aligning with your highest potential

Your Experience

We can meet remotely over Zoom or in-person in my Laguna Niguel, CA office.

The article is interrupted by molecular data:
=====
1.
Density functional theory data (wB97M-V/def2-TZVPD) for C9H8 in the gas phase at a distorted geometry.

Bonds (Å) are listed after each position.
Geometry (Å):
1 C 1.28733 0.02324 0.75021  C2 1.559, C4 1.461, H10 1.092, H11 1.168
2 C 0.92684 1.48055 0.32868  C1 1.559, C3 1.557, H12 1.172, H13 1.111
3 C 0.04086 0.80826 -0.76043  C2 1.557, C4 1.535, C9 1.532, H14 1.057
4 C 0.70951 -0.54204 -0.46701  C1 1.461, C3 1.535, C5 1.540, H15 1.194
5 C -0.40694 -1.58413 -0.27290  C4 1.540, C6 1.503, H16 1.066, H17 1.170
6 C -1.59969 -0.78803 0.17601  C5 1.503, C7 1.860, C8 1.337, C9 1.494
7 C -2.75283 0.62510 -0.18850  C6 1.860, C8 1.504, C9 1.343
8 C -2.45501 -0.21071 1.02628  C6 1.337, C7 1.504, C9 1.899
9 C -1.41874 0.60226 -0.34132  C3 1.532, C6 1.494, C7 1.343, C8 1.899
10 H 2.29358 -0.22253 1.09475  C1 1.092
11 H 0.58029 -0.27571 1.63002  C1 1.168
12 H 0.47598 2.17023 1.16195  C2 1.172
13 H 1.70342 2.04917 -0.22615  C2 1.111
14 H 0.18751 1.23583 -1.71537  C3 1.057
15 H 1.42526 -0.77645 -1.39354  C4 1.194
16 H -0.21630 -2.39556 0.39223  C5 1.066
17 H -0.78106 -2.19946 -1.19490  C5 1.170

Properties
largest force on an atom: 4.6 eV/Å
frontier orbital gap: 8.8 eV
structure (SMILES): C1C[C@H]2[C@@H]1C[C@]13C4=C1[C@]423

natural (NBO) atomic charge list, values in e, 5 entries: -0.422, -0.390, -0.238, -0.202, -0.438

2.
Density functional theory data (wB97M-V/def2-TZVPD) for 2 unconnected molecules or ions with the total composition C5H9N2 at a distorted geometry.

Bonds (Å) are listed after each position.
Geometry (Å):
1 C 1.04981 0.79541 2.21699  C5 1.326, H8 1.173, H9 1.066
2 C 0.31454 -1.14114 -0.79883  C4 1.533, N7 1.514, H10 1.114, H11 1.113
3 C -0.49054 0.90790 0.22992  C4 1.309, C5 1.504, H12 1.008
4 C -0.60518 0.08542 -0.78255  C2 1.533, C3 1.309
5 C 0.53592 0.26097 1.11793  C1 1.326, C3 1.504, N7 1.475
6 N -2.07620 0.49303 -2.71139  H13 1.045, H14 1.015
7 N 1.02214 -1.00206 0.53248  C2 1.514, C5 1.475, H15 1.036, H16 1.023
8 H 0.43511 1.65527 2.72572  C1 1.173
9 H 1.99284 0.57786 2.66326  C1 1.066
10 H -0.29175 -2.07084 -0.89139  C2 1.114
11 H 1.18443 -0.92573 -1.45958  C2 1.113
12 H -0.90653 1.81759 0.35080  C3 1.008
13 H -2.76602 0.12058 -2.02080  N6 1.045
14 H -2.16254 1.47365 -2.95825  N6 1.015
15 H 0.76191 -1.75774 1.19202  N7 1.036
16 H 2.00206 -1.29016 0.59366  N7 1.023

Properties
net charge: +1
largest force on an atom: 5.0 eV/Å
frontier orbital gap (spin up / spin down): 8.3 / 8.3 eV

natural (NBO) atomic charge list, values in e, 5 entries: -0.353, -0.312, -0.322, 0.184, 0.091

3.
Density functional theory data (wB97M-V/def2-TZVPD) for a gas-phase ion, C5H5O3 (charge -1) at a distorted geometry.

Bonds (Å) are listed after each position.
Geometry (Å):
1 C -1.64108 1.43462 -0.89136  O2 1.405, H9 1.104, H10 1.090, H11 1.094
2 O -1.42651 0.06729 -1.13066  C1 1.405, C3 1.419
3 C -0.50871 -0.50575 -0.21206  O2 1.419, C4 1.354, H12 1.084
4 C 0.76486 -0.06531 -0.07751  C3 1.354, O5 1.251, C6 1.584
5 O 1.38422 0.83986 -0.67928  C4 1.251
=====
The molecular data stop here:

1️⃣ We discuss your intention, why you are here, and what you would like to get out of this session.

2️⃣ I connect with my Spirit Guide, Raja, and ask you to state your name three times

3️⃣ Ra-Ja speaks directly to you through me, offering insights and guidance tailored to your spiritual journey

4️⃣ You can ask her questions if you like

How to schedule your session

📅 Click on the ‘BOOK YOUR SESSION’ button below. Select ‘Channeled Reading’ from the list and click the ‘BOOK NOW’ button sand complete the payment process. The system will take you to my calendar, where you can schedule your appointment day and time. If you do not see a time slot that works for you, please email me with your availablility.

You can pay with any credit card or PayPal.

60 minutes – $195